Not all service perceived as poor or inadequate constitutes the prohibited discrimination referred to by the Equality Act and the Non-discrimination Act. To be discrimination, the less favourable treatment must be based on one or more of the discriminatory grounds prohibited by law.
Direct discrimination refers to a situation in which a person is treated less favourably than another person in a similar situation due to one or more of their personal characteristics, without a justification accepted by law. For example, the refusal to provide service because of the colour of a person’s skin would be direct discrimination.
The law also prohibits indirect discrimination and harassment
Indirect discrimination refers to a situation where seemingly objective and equal treatment or conduct leads to a discriminatory outcome. Indirect discrimination may include a physically inaccessible environment that prevents wheelchair users from accessing a space that is allegedly open to all. Indirect discrimination can also be unintentional.
Harassment is a behaviour that creates a degrading, humiliating, threatening, hostile or offensive environment related to the grounds of discrimination prohibited by the Equality and Non-Discrimination Acts. This may include racist or sexist jokes.
Follow these steps if you suspect that you have experienced discrimination or harassment in our services
Inform the employee directly
Each of our employees has a duty to act without discrimination and to treat the customer with respect, regardless of their personal characteristics. Employees are also obliged to intervene in any discrimination or harassment they observe. You can point out the discrimination or harassment directly to the employee of the service.
┌──
Record 1
# Ag3Pd5Au2

A relaxed structure of Ag3Pd5Au2 (PBE, the Alexandria database). Values from VASP.

Quantum ESPRESSO input file:
```
&SYSTEM
  ibrav = 0, nat = 20, ntyp = 3
/
ATOMIC_SPECIES
Ag 107.87 Ag.upf
Pd 106.42 Pd.upf
Au 196.97 Au.upf
CELL_PARAMETERS angstrom
7.6602 2.0180 -3.8333
0.8442 7.7062 -3.8405
-2.4838 -2.7372 8.4896
ATOMIC_POSITIONS crystal
Ag 0.2588 0.0088 0.0175
Ag 0.7412 0.9912 0.9825
Ag 0.6760 0.4292 0.2247
Ag 0.3240 0.5708 0.7753
Ag 0.0487 0.7955 0.2247
Ag 0.9513 0.2045 0.7753
Pd 0.2438 0.4938 0.9876
Pd 0.7562 0.5062 0.0124
Pd 0.9969 0.7469 0.4939
Pd 0.5061 0.2561 0.5122
Pd 0.0031 0.2531 0.5061
Pd 0.4939 0.7439 0.4878
Pd 0.7452 0.5216 0.6929
Pd 0.2548 0.4784 0.3071
Pd 0.4478 0.1713 0.6929
Pd 0.5522 0.8287 0.3071
Au 0.9486 0.7336 0.7504
Au 0.0514 0.2664 0.2496
Au 0.3018 0.0168 0.7504
Au 0.6982 0.9832 0.2496
```

Results
Symmetry ... No. 15

Record 2
# DyAlGa2

A relaxed structure of DyAlGa2 (PBE, the Alexandria database). Values from VASP.

Quantum ESPRESSO input file:
```
&SYSTEM
  ibrav = 0, nat = 4, ntyp = 3
/
ATOMIC_SPECIES
Al 26.98 Al.upf
Ga 69.72 Ga.upf
Dy 162.50 Dy.upf
CELL_PARAMETERS angstrom
3.5105 0.0000 0.0000
0.0000 3.5105 0.0000
0.0000 0.0000 6.5116
ATOMIC_POSITIONS crystal
Al 0.5000 0.5000 0.0000
Ga 0.0000 0.0000 0.7937
Ga 0.0000 0.0000 0.2063
Dy 0.5000 0.5000 0.5000
```

Results
Symmetry ... No. 123

Record 3
# Ni3BIr

A relaxed structure of Ni3BIr (PBE, the Alexandria database). Values from VASP.

Quantum ESPRESSO input file:
```
&SYSTEM
  ibrav = 0, nat = 5, ntyp = 3
/
ATOMIC_SPECIES
Ni 58.69 Ni.upf
B 10.81 B.upf
Ir 192.22 Ir.upf
CELL_PARAMETERS angstrom
4.5249 0.0000 0.0000
0.0000 4.5249 0.0000
0.0000 0.0000 4.5249
ATOMIC_POSITIONS crystal
Ni 0.0000 0.5000 0.0000
Ni 0.0000 0.0000 0.5000
Ni 0.5000 0.0000 0.0000
B 0.5000 0.5000 0.5000
Ir 0.0000 0.0000 0.0000
```

Results
Symmetry ... No. 221
Energy relative to the lowest polymorph listed for this composition ... 1.851 eV per atom

Number 1: formation energy 0.15 eV per atom. Number 2: formation energy -0.32 eV per atom. Number 3: formation energy 2.04 eV per atom.


# BaAl3Si3 | Alexandria via LeMat-Bulk | PBE | relaxed
data_BaAl3Si3
_chemical_formula_sum 'Ba2 Al6 Si6'
_symmetry_space_group_name_H-M 'P 1'
_symmetry_Int_Tables_number 1
_cell_length_a 7.019
_cell_length_b 7.019
_cell_length_c 7.019
_cell_angle_alpha 90.00
_cell_angle_beta 90.00
_cell_angle_gamma 90.00
loop_
_symmetry_equiv_pos_as_xyz
'x,y,z'
loop_
_atom_site_label
_atom_site_fract_x
_atom_site_fract_y
_atom_site_fract_z
_atom_site_occupancy
Ba1 0.000 0.000 0.000 1
Ba2 0.500 0.500 0.500 1
Al1 0.000 0.250 0.500 1
Al2 0.000 0.750 0.500 1
Al3 0.250 0.500 0.000 1
Al4 0.500 0.000 0.250 1
Al5 0.500 0.000 0.750 1
Al6 0.750 0.500 0.000 1
Si1 0.000 0.500 0.250 1
Si2 0.000 0.500 0.750 1
Si3 0.250 0.000 0.500 1
Si4 0.500 0.250 0.000 1
Si5 0.500 0.750 0.000 1
Si6 0.750 0.000 0.500 1
# SG: Pm-3n
# Energy relative to the elements, uncorrected: -0.096 eV per atom
# DOS(E_F): 5.1 states/eV/cell
└──
Give feedback
Records of crystals from another source follow =
____________
No. 1
Compound: TlSeN2F
Source: the Alexandria database
Functional: GGA-PBE
Structure: relaxed

Lattice parameters (Å, degrees): 4.463 4.463 5.808 90.00 90.00 90.00
Space group P4/mmm (No. 123)
One atom of each set of equivalent atoms:
Tl: 0.000 0.000 0.000 [1 per cell]
Se: 0.000 0.000 0.500 [1 per cell]
N: 0.000 0.500 0.000 [2 per cell]
F: 0.500 0.500 0.500 [1 per cell]

Values from the calculation:
N(E_F)   0.4308 states/eV/atom
Electronic total energy   -15.51 eV per formula unit

No. 2
Compound: TlSe2NF
Source: the Alexandria database
Functional: GGA-PBE
Structure: relaxed

Lattice parameters (Å, degrees): 5.620 5.620 4.398 90.00 90.00 90.00
Space group P4/mmm (No. 123)
One atom of each set of equivalent atoms:
Tl: 0.000 0.000 0.000 [1 per cell]
Se: 0.000 0.500 0.000 [2 per cell]
N: 0.000 0.000 0.500 [1 per cell]
F: 0.500 0.500 0.500 [1 per cell]

Values from the calculation:
N(E_F)   0.4409 states/eV/atom
Electronic total energy   -13.52 eV per formula unit


Record 1
A plane-wave DFT calculation with SCAN was carried out for Ta2W at its PBEsol-relaxed geometry. Values from VASP.

```
&SYSTEM
  ibrav = 0, nat = 3, ntyp = 2
/
ATOMIC_SPECIES
Ta 180.95 Ta.upf
W 183.84 W.upf
ATOMIC_POSITIONS crystal
Ta 0.161 0.161 0.000
Ta 0.839 0.839 0.000
W 0.500 0.500 0.000
CELL_PARAMETERS angstrom
-1.612 1.612 4.871
1.612 -1.612 4.871
1.612 1.612 -4.871
```

SG ... I4/mmm, No. 139
Relative energy among the computed polymorphs ... 0.6 kJ/mol of formula units
E_form ... -8.14 kJ per mole of atoms


Record 2
A plane-wave DFT calculation with SCAN was carried out for NaBe2PtPb at its PBEsol-relaxed geometry. Values from VASP.

```
&SYSTEM
  ibrav = 0, nat = 5, ntyp = 4
/
ATOMIC_SPECIES
Na 22.99 Na.upf
Be 9.01 Be.upf
Pt 195.08 Pt.upf
Pb 207.20 Pb.upf
ATOMIC_POSITIONS crystal
Na 0.000 0.000 0.000
Be 0.000 0.500 0.500
Be 0.500 0.000 0.500
Pt 0.500 0.500 0.000
Pb 0.500 0.500 0.500
CELL_PARAMETERS angstrom
4.603 0.000 0.000
0.000 4.603 0.000
0.000 0.000 5.184
```

SG ... P4/mmm, No. 123
E_form ... 78.45 kJ per mole of atoms


Record 3
A plane-wave DFT calculation with SCAN was carried out for CaReNi2 at its PBEsol-relaxed geometry. Values from VASP.

```
&SYSTEM
  ibrav = 0, nat = 4, ntyp = 3
/
ATOMIC_SPECIES
Ca 40.08 Ca.upf
Re 186.21 Re.upf
Ni 58.69 Ni.upf
ATOMIC_POSITIONS crystal
Ca 0.000 0.000 0.000
Re 0.500 0.500 0.500
Ni 0.243 0.243 0.243
Ni 0.757 0.757 0.757
CELL_PARAMETERS angstrom
1.387 0.801 8.709
-1.387 0.801 8.709
0.000 -1.602 8.709
```

SG ... R-3m, No. 166
Relative energy among the computed polymorphs ... 90.6 kJ/mol of formula units
E_form ... 59.56 kJ per mole of atoms


Record 4
A plane-wave DFT calculation with SCAN was carried out for Ta2MnAg at its PBEsol-relaxed geometry. Values from VASP.

```
&SYSTEM
  ibrav = 0, nat = 4, ntyp = 3
/
ATOMIC_SPECIES
Ta 180.95 Ta.upf
Mn 54.94 Mn.upf
Ag 107.87 Ag.upf
ATOMIC_POSITIONS crystal
Ta 0.079 0.000 0.277
Ta 0.921 0.000 0.723
Mn 0.500 0.500 0.500
Ag 0.500 0.500 0.000
CELL_PARAMETERS angstrom
____________
Back to the piece =
You can give us feedback afterwards through many different channels – for example, by visiting or calling the customer service point of the service in question. You can also give us feedback through the feedback service(Link leads to external service) . Log in to the feedback service in order to get a personal reply to feedback containing sensitive information. If you do not log in, you cannot receive a personal reply via the feedback service. However, you can leave your contact details and ask to be contacted e.g. by phone.
Contact the Ombudsman
If the matter is not resolved to your satisfaction, you can contact the Non-Discrimination Ombudsman(Link leads to external service) or the Ombudsman for Equality(Link leads to external service) . They will assess whether there is discrimination and guide you if necessary.